02:38 Popular
On The Road: S.C. Man Finds Life-saving Kidney For His Wife
Added 1,072 Views / 0 LikesAs part of our continuing series, "On the Road," Steve Hartman catches up with a man whose wife was suffering kidney failure. After his story first aired on the "CBS Evening News," thousands of people offered their kidneys - and one was a match.
02:52 Popular
One student's special military operation
Added 753 Views / 0 LikesRishi Sharma, 19, is no soldier. But the son of Indian immigrants is working tirelessly to preserve the legacies of World War II veterans so they can be honored for years to come. Steve Hartman reports.
02:51 Popular
Man with Down syndrome overcoming odds
Added 830 Views / 0 LikesRion Holcombe, a young man with Down syndrome, fulfilled his dream of getting accepted to Clemson University in 2014. Two years later, Steve Hartman went "On the Road" to check in with him.
02:45 Popular
Texas high school football team making the comeback of the year
Added 1,288 Views / 0 LikesHurricane Harvey tore through the town of Rockport, Texas, flooding the homes of members of the Rockport-Fulton Pirates football team. Even though school is closed indefinitely, the kids started showing up for practice. Steve Hartman reports. Subscribe to
03:13 Popular
Woman turns to Facebook to search for late husband's car for her son
Added 897 Views / 0 LikesJessica Rozier and her son Justin from Moore, Texas, turned to Facebook to look for an old '99 Toyota Celica owned by Justin's father, who was killed in Iraq. They posted a message with the VIN asking for help, and strangers took notice. Steve Hartman met
00:51 Popular
Nate Staniforth: A Closer Look II
Added 837 Views / 0 LikesSee how some Colorado Rockies players and their fans react to Nate Staniforth’s street magic. The following is unscripted and unrehearsed. Learn more about Nate and his sense of wonder at
02:30 Popular
How a bullied teen changed the lives of two Denver officers
Added 1,057 Views / 0 LikesLast year, two Denver police officers got a call to check on the welfare of a 15-year-old named Victor. He had been bullied at school, and said he wanted to end his life. But they stepped in, changing all of their lives forever. Steve Hartman has their st
The beautiful balance between courage and fear | Cara E. Yar Khan
Added 8,562 Views / 0 LikesAfter being diagnosed with a rare genetic condition that deteriorates muscle, Cara E. Yar Khan was told she'd have to limit her career ambitions and dial down her dreams. She ignored that advice and instead continued to pursue her biggest ambitions. In th
I Quit My Corporate Job To Become A Navy Seal
Added 9,001 Views / 0 LikesEven if you're not thinking about joining the Navy Seals this military motivational speech by Brent Gleeson will help you understand that life can be like military training, you have to focus your mind on always going forward, despite the setbacks. Go all
Heroes of the Pandemic Video 2020 | People Are Awesome (Frontline Workers Tribute)
Added 849 Views / 0 LikesWe highlight the stories of local frontline workers and what they went through when the pandemic struck earlier in 2020.
03:18 Popular
Pillars Of Our Faith
Added 920 Views / 0 Likes3ABN and CreationScapes have combined talents and created an amazing spirit filled program that will lift your heart toward heaven. Each song has scripture specifically dealing with it's title. Scripture verses with the positive and hopeful message of see
00:31 Popular
Added 985 Views / 0 LikesOften the best ideas come from real life. The concept for "Baseball" originated when the spot's director was looking out his window, at his son playing a game with some neighborhood children. Just as in "Baseball," one boy ended up being left out. It was
03:20 Popular
On The Road: Wrestling Away Cancer
Added 929 Views / 0 LikesAs part of our continuing series "On the Road," Steve Hartman meets a high school wrestler whose dad was diagnosed with an incurable form of cancer. The teen took it upon himself to try to make the disease disappear -- if only for a moment.
09:51 Popular
Thoughts On The Road With Steve Part 1 Of 2 (June 12 2010)
Inserted here: records of molecules:
(1)
91
Properties=species:S:1:pos:R:3:forces:R:3 method="wB97M-V/def2-TZVPD" lumo_ev="3.90 / 3.90" total_charge=-2 relative_energy_kcal_mol=0.0 spin_multiplicity=6 s2=8.77 homo_lumo_gap_ev="6.51 / 6.31" e_tot_ha=-8843.34143
Fe 0.228 1.255 0.842 -0.43 0.41 0.11
C -6.606 0.732 -1.753 -0.01 0.00 0.00
C -5.511 0.122 -0.920 -0.01 -0.02 -0.03
C -4.200 0.119 -1.382 0.05 0.10 0.04
C -3.167 -0.337 -0.583 0.04 0.08 -0.08
C -3.444 -0.824 0.684 -0.02 0.04 0.02
C -4.748 -0.852 1.157 0.02 0.04 0.01
C -5.774 -0.380 0.351 -0.02 -0.01 0.02
S -2.105 -1.316 1.731 0.03 0.27 0.35
O -1.297 -2.240 0.976 -0.15 0.26 0.27
O -2.720 -1.792 2.954 0.08 -0.12 -0.01
N -1.227 -0.001 1.991 -0.13 -0.16 -0.23
C -1.525 0.955 2.929 -0.07 -0.05 -0.08
C -2.498 0.982 3.944 0.06 -0.04 -0.01
C -2.564 2.105 4.739 0.00 0.06 0.03
C -1.689 3.177 4.549 -0.02 -0.10 0.02
C -0.774 3.070 3.522 0.05 0.00 0.02
N -0.709 2.002 2.745 -0.15 -0.06 0.06
H -6.365 0.680 -2.815 -0.01 -0.01 0.01
H -6.721 1.788 -1.500 0.00 -0.01 -0.01
H -7.562 0.229 -1.587 0.01 0.03 0.01
H -3.969 0.557 -2.345 0.02 0.01 -0.03
H -2.144 -0.264 -0.927 0.06 0.02 0.00
H -4.940 -1.228 2.152 0.00 0.00 -0.01
H -6.793 -0.377 0.725 0.01 -0.01 0.00
H -3.159 0.142 4.084 0.01 -0.01 0.00
H -3.313 2.151 5.521 0.01 0.01 0.00
H -1.729 4.065 5.164 -0.02 0.00 0.00
H -0.069 3.863 3.296 -0.03 0.01 -0.03
Cl 6.775 4.630 2.257 -0.06 -0.04 0.00
C 5.281 3.709 2.240 0.03 -0.02 0.03
C 5.201 2.528 3.001 0.06 0.03 0.00
C 4.051 1.798 3.015 -0.09 -0.04 0.03
Cl 3.977 0.324 3.933 -0.01 0.07 -0.03
C 2.867 2.182 2.278 0.07 0.13 0.06
O 1.801 1.530 2.353 0.13 -0.36 -0.26
C 3.020 3.375 1.501 0.01 -0.02 -0.13
C 1.971 3.808 0.625 0.01 0.06 0.12
O 0.890 3.264 0.421 0.21 -0.15 -0.13
C 4.213 4.117 1.498 0.02 0.04 0.00
H 6.058 2.192 3.570 0.00 0.00 0.00
H 2.175 4.744 0.073 -0.01 0.00 0.01
H 4.275 5.016 0.894 0.00 -0.01 0.00
C -0.459 1.213 -4.101 -0.14 -0.03 0.03
As 0.510 1.832 -2.560 0.24 -0.27 -0.19
C 2.229 1.051 -3.006 0.03 -0.02 0.04
C 0.960 3.694 -2.677 -0.11 0.04 0.16
O 0.030 1.089 -1.152 -0.06 0.08 0.05
H 0.114 1.481 -4.988 0.02 -0.01 -0.01
H -1.455 1.638 -4.127 0.01 0.02 0.03
H -0.502 0.128 -4.015 0.00 -0.06 -0.03
H 2.542 1.431 -3.982 0.02 -0.01 -0.01
H 2.135 -0.035 -3.045 -0.01 0.02 0.00
H 2.959 1.301 -2.239 -0.03 -0.01 0.00
H 0.811 3.975 -3.720 0.00 0.04 0.00
H 2.012 3.785 -2.409 0.02 0.03 -0.01
H 0.317 4.295 -2.036 -0.04 -0.01 -0.02
Cl 1.430 -5.843 1.454 0.04 0.00 -0.01
C 0.066 -5.425 0.463 -0.06 0.16 0.02
C -1.010 -6.295 0.415 -0.07 -0.06 0.03
C -2.126 -5.962 -0.335 0.06 0.00 0.04
C -2.143 -4.786 -1.067 0.06 0.04 -0.07
C -1.041 -3.951 -1.032 0.07 -0.23 -0.30
Cl -0.988 -2.585 -2.091 -0.04 0.04 0.02
C 0.073 -4.214 -0.230 -0.03 -0.16 -0.20
N 1.123 -3.304 -0.126 0.43 -0.17 -0.06
C 2.319 -3.480 -0.820 -0.45 0.05 0.10
C 2.461 -4.466 -1.798 0.01 -0.09 -0.01
C 3.655 -4.618 -2.486 0.06 0.07 0.05
C 4.726 -3.777 -2.219 -0.08 -0.06 -0.03
C 4.581 -2.800 -1.241 -0.03 0.07 0.01
C 3.403 -2.638 -0.524 0.16 0.00 -0.09
C 3.315 -1.628 0.583 0.12 0.05 0.07
End of the records of molecules:
Added 773 Views / 0 LikesThoughts on the Road with Steve Part 1 of 2 Just after weekly Street Cleanupin Cayce, South Carolina Saturday June 12, 2010 "Our constitution was made only for a moral and religious people. It is wholly inadequate to the government of any other." -- John
02:56 Popular
Young civilian undertakes a special military operation
Added 827 Views / 0 LikesRishi Sharma, 19, is no soldier. But the son of Indian immigrants is working tirelessly to preserve the legacies of World War II veterans so they can be honored for years to come. Steve Hartman reports.
03:02 Popular
Crooked cop paired up with man he framed
Added 745 Views / 0 LikesJameel McGee and former police officer Andrew Collins' lives became intertwined when Collins put McGee in jail for a crime he didn't commit. So what happened when the two wound up working in the same place years later? Steve Hartman went "On the Road" to